Reminiscing a long lost dream, a woman from Old Mosul helps tailoring dreams for her daughters and women in her neighborhood

“I was a victim,” said Halima*. “My marriage is the worst memory of my life. But if I had stayed single, I were not going to be comfortable either.”
Twenty-nine years ago, when Halima was just nineteen years of age, her family arranged her marriage to a man whose sister was to be married to Halima’s uncle. In Iraq there is a marriage tradition called exchange marriage when one female member is married off in exchange of a bride for a brother or an uncle.
When her parents asked her if she would agree to the arranged marriage, she immediately said yes. Halima was not only a victim of an arranged marriage, but she was also a victim of an abusive mother. Her mother was treating her badly and abusing her for a long period of time. Halima decided it was better off to leave the house at the earliest opportunity. As the eldest of all her siblings, Halima left school when she reached third year of high school to take care of her two younger siblings. Halima today remembers regrettably her being dropped out of school. She loved school and reminisced how well she was doing in the classes. Her dream was to be a teacher one day.
When Halima got married, she moved to live with her husband in her in-laws’ family house. While the house was big, it was relatively small for the large number of family members. The house had four rooms: Halima’s and Hayder’s*(Halima’s husband), her father in-law’s family of four, her brother in-law’s family of eight, and her seven sisters in-law shared a room. The house was old, weary, and the animals they bred shared the yard.
“When I was in my father’s house, we were doing very well financially. Then I came to live with my husband and his financial situation was very poor. Something I have never seen before in my life. My father provided us with everything. But after getting married, I had nothing. I got exhausted.”
Hayder was illiterate and didn’t have a job. Halima began to sell the only few pieces of golden jewelry she had as a gift from her father and bought a grocery carriage for Hayder so that Hayder would work to get a little income. But it was not enough for the family and Halima then started to learn tailoring. “So, I started to tailor to support myself because as a married woman with children, I was ashamed of going to my father’s house every time asking for money.” Halima started to tailor using the sewing machine of a neighbor, and, in exchange, she gave the neighbor half of the income she gained on each piece.
Over the years, Halima had five children, and throughout the years, she moved in and out of several rental homes after leaving her in laws’ house. Halima experienced difficulties with each move and stay. But Halima was smart. One day she decided to participate in money savings group with women in her neighborhood. A savings group is a practice to allocate an amount of money aside periodically with a group of participants and after a certain period, one of the participants gets the sum and thus each cycle a participant has her turn to collect the sum. Eventually, Halima collected a good sum of money. She used the money to buy two pieces of land. A few years later, prices of lands in Mosul went up, so she sold her owned pieces of land and bought a house of four rooms for her family of seven.
Halima today is 48 years of age. Halima’s two sons dropped out of school because Halima couldn’t afford their school expenses as she was tailoring most of the time to make ends meet for the family. And as Hayder couldn’t read and write, he couldn’t help his sons with homework. Her two sons eventually got married and one of them moved out of the house to live in his grandmother’s house. Halima shared, “I didn’t have time to teach them. They needed stationery and clothes, and I didn’t have any. I told Aisha* (Halima’s eldest daughter) to continue her education and not be like her brothers.”
Hayder has been abusing Halima and his daughters physically and psychologically. Aisha, postponed her final exam of bachelorette for three years because she suffered and endured much abuse from Hayder. One day while Halima tried to defend Aisha from Hayder’s assault, Hayder broke three fingers of Halima. When the police asked Halima at the hospital what happened, in fear she said she fell down. As a consequence to the bad treatment of Hayder, Aisha left the house and moved to live with her grandmother.
Hailma said, “He even hits me on the streets. I don’t have dignity anymore. My youngest daughter is in third year of primary school. She is not allowed to play with children in the neighborhood.”
One day Halima’s son applied online on her behalf for an opportunity for a tailoring course program that World Vision Iraq was implementing in Mosul. When Halima was selected, her husband was suspicious but eventually agreed to Halima’s determination to participate. Halima participated in a fifteen-day tailoring course and was eventually made trainer at World Vision Iraq’s center for tailoring.
“Now there is a change in my life, I go out a little and get away from him for four hours a day. Psychologically I am feeling better as I am going out and seeing people. My husband has changed a bit but only by fifty percent. Noor from World Vision Iraq came and gave him awareness sessions on the rights of women and violence against women.”
Today not only Halima exercises some independency having her own income and the freedom to go out, but she is also able to help her children with their educational needs as she registered her daughter and son to private classes. Halima said, “Before I didn’t have money to do that. Because we did not have a fixed income at home. There were many things I couldn’t do for them. It is true that I was tailoring, but the income that came from tailoring was not fixed.”
Halima continued, “I love education, and I get very happy when my children succeed. It is the happiest thing in my life. I don’t want them to suffer like the way I suffered in my life. Education is a weapon for a woman. Hayder wanted to marry Aisha off, I rejected the idea. I told him you should not marry her off and that she should continue her education. I didn’t allow her to get dropped out of school. If I were to continue my education, my situation would have been different. I wish if I had continued my education and had not gotten married.”
She is not only helping her children with educational needs, but she is also mobilizing her neighborhood. Halima said, “Now many girls whose parents were not allowing them to go out, are now coming here to enroll in the course. Noor from World Vision Iraq went to their homes and provided them with awareness sessions (on the rights of women). There is a single woman in her thirties whose parents were not letting her go out at all, we convinced her parents to allow her to join the course and now she is enrolled. She thanked me and told me that she was doing better now.’”
Halima continued, “What was most surprising to me was the psychosocial support sessions. I became more comfortable. When you open yourself to someone, you become more comfortable.”
Noor, the Case Manager at World Vision Iraq, who works closely with Halima, said, “We held sessions for her at her home, at the center and in group with the family. Halima got closer to me. We cannot make a change in a day and night, but there is a change in her husband. Halima started to confide in me her problems. Halima does not want anyone to experience what she went through.”
Each month Halima meets with twenty-five women to train them on tailoring. She does not only train them on tailoring, but she also encourages the women to take psychosocial support sessions to benefit the way she benefited. Noor noticed that Halima started to talk with the women about their rights, about violence and child marriage issues.
- - -
{
  "formula": "C33H61CrF5N2O26S2",
  "method": "ωB97M-V/def2-TZVPD",
  "species": ["Cr", "N", "S", "O", "O", "F", "S", "O", "O", "F", "N", "O", "O", "O", "C", "C", "O", "C", "O", "O", "F", "H", "H", "H", "C", "C", "O", "C", "O", "O", "F", "H", "H", "H", "C", "C", "O", "C", "O", "O", "F", "H", "H", "H", "C", "C", "O", "C", "C", "H", "H", "H", "H", "H", "H", "H", "H", "H", "H", "C", "C", "O", "C", "C", "H", "H", "H", "H", "H", "H", "H", "H", "H", "H", "O", "C", "O", "C", "C", "C", "H", "H", "H", "H", "H", "H", "H", "H", "O", "C", "O", "C", "C", "C", "H", "H", "H", "H", "H", "H", "H", "H", "O", "C", "O", "C", "C", "C", "H", "H", "H", "H", "H", "H", "H", "H", "O", "C", "O", "C", "C", "C", "H", "H", "H", "H", "H", "H", "H", "H"],
- - -
-- Back to the entry --
To date, since her appointment as the tailoring trainer, Halima has trained and shared experiences with 120 women who attended her class at World Vision Iraq’s tailoring center. Through the project for survivors of violence against women in Mosul and Hamdaniyah, we provide case management services and recreational activities as well as climate-resilient livelihoods and business development trainings to 582 vulnerable women like Halima.
Halima shared at the end, “My dream is that my young children achieve high. This is my dream. I don’t have any other dreams. My dreams are long lost.”
Someone pasted quantum chemistry results at this point =
********
C12H29BN2O6S2 | ωB97M-V/def2-TZVPD

LUMO level = -0.0364 hartree
HOMO level = -7.25 eV
Energy = -1856.7122 Eh
Kohn-Sham gap = 6.26 eV
Energy relative to the best compared isomer or geometry (same formula, charge and spin) = 20.6 kcal per mole

The geometry in ORCA input format:
```
! wB97M-V def2-TZVPD RIJCOSX def2/J DEFGRID3
* xyz 0 1
C 0.2540 -3.9786 3.9245
C -1.2401 -4.1924 3.6510
B -1.6252 -5.0442 2.3858
O -2.9215 -5.1018 1.9388
S -0.3710 -6.0121 1.3556
O 0.5982 -6.6208 2.2495
O -1.0862 -6.9018 0.4746
N 0.3907 -4.7919 0.6021
S -0.4148 -4.0594 -0.5629
O -1.6277 -3.4069 -0.0870
O -0.5251 -4.7667 -1.8149
C 0.7773 -2.7248 -0.8901
O 0.3688 -1.4812 -0.3836
C 0.4103 -1.4050 1.0368
H 0.7557 -3.5961 3.0374
H 0.3942 -3.2549 4.7319
H 0.7421 -4.9117 4.1932
H -1.7411 -3.2257 3.5180
H -1.7216 -4.6797 4.5053
H -3.1345 -4.2719 1.5019
H 1.7471 -3.0491 -0.5081
H 0.8299 -2.6502 -1.9754
H -0.6029 -1.2644 1.4132
H 0.8321 -2.3084 1.4733
H 1.0199 -0.5453 1.3356
C 1.9803 0.8518 -1.9564
C 0.6068 1.3607 -1.5220
C 0.1805 2.6517 -2.2143
N 0.3741 3.8916 -1.3729
C 1.7862 4.0201 -0.9175
C -0.0160 5.1164 -2.1928
C -1.4108 5.4786 -1.7194
C -1.3166 5.2025 -0.2228
C -0.5742 3.8759 -0.1751
H 2.7862 1.5495 -1.7193
H 2.1928 -0.0914 -1.4573
H 1.9994 0.6720 -3.0321
H 0.5665 1.4578 -0.4347
H -0.1225 0.5909 -1.7720
H -0.8827 2.6336 -2.4522
H 0.7330 2.8089 -3.1403
H 2.4344 4.0370 -1.7902
H 2.0348 3.1804 -0.2767
H 1.8818 4.9478 -0.3583
H 0.6942 5.9071 -1.9614
H 0.0528 4.8696 -3.2481
H -2.1557 4.8322 -2.1868
H -1.6661 6.5097 -1.9524
H -2.2859 5.1420 0.2662
H -0.7388 5.9838 0.2748
H -1.2505 3.0349 -0.3030
H 0.0074 3.7299 0.7303
*
```
********
*Names have been changed to protect identities.